(Listing)
+++
Material: P2Ir
Method: DFT, GGA-PBE
State: optimized geometry Values from VASP.

Quantum ESPRESSO input file:
```
&SYSTEM
  ibrav = 0, nat = 12, ntyp = 2
/
ATOMIC_SPECIES
Ir 192.22 Ir.upf
P 30.97 P.upf
CELL_PARAMETERS angstrom
0.000 -5.795 0.000
-5.838 0.000 0.000
0.000 -2.144 -5.497
ATOMIC_POSITIONS angstrom
Ir -5.834 -4.847 -1.604
Ir -2.915 -2.021 -1.145
Ir -0.004 -3.093 -3.893
Ir -2.923 -5.919 -4.353
P -5.116 -5.336 -3.788
P -3.640 -4.264 -1.039
P -0.721 -2.603 -1.710
P -0.694 -6.748 -4.788
P -5.143 -1.192 -0.710
P -2.225 -5.676 -2.039
P -3.613 -2.264 -3.458
P -2.198 -3.675 -4.458
```

Computed properties:
Energy of formation ... -69.7 kJ/mol of atoms
Crystal system ... monoclinic
Symmetry ... P2_1/c (14)

=====

Record 1
## Na7CaSc3Si3S3O24 (GGA-PBE)

Data for a geometry-optimized Na7CaSc3Si3S3O24 structure.

The structure in POSCAR format:
```
Na7CaSc3Si3S3O24
1.0
9.263 0.019 0.013
-4.615 8.021 -0.029
0.034 -0.066 22.783
O Sc S Na Si Ca
72 9 9 21 9 3
Direct
0.693 0.166 0.752
0.161 0.472 0.252
0.853 0.496 0.422
0.300 0.834 0.254
0.492 0.364 0.423
0.318 0.463 0.469
0.025 0.211 0.200
0.161 0.699 0.756
0.169 0.994 0.914
0.686 0.145 0.026
0.853 0.541 0.034
0.341 0.857 0.576
0.819 0.007 0.419
0.181 0.151 0.089
0.858 0.311 0.531
0.167 0.196 0.697
0.825 0.993 0.083
0.544 0.688 0.968
0.986 0.799 0.801
0.465 0.384 0.142
0.335 0.494 0.068
0.504 0.150 0.920
0.194 0.981 0.198
0.523 0.640 0.863
0.298 0.481 0.757
0.200 0.183 0.811
0.508 0.672 0.577
0.645 0.515 0.922
0.534 0.851 0.474
0.476 0.322 0.752
0.469 0.137 0.246
0.906 0.547 0.139
0.798 0.774 0.311
0.363 0.479 0.363
0.118 0.467 0.860
0.224 0.020 0.305
0.449 0.131 0.529
0.793 0.818 0.194
0.983 0.803 0.086
0.034 0.834 0.421
0.629 0.090 0.144
0.978 0.179 0.585
0.792 0.820 0.912
0.139 0.661 0.074
0.818 0.008 0.811
0.029 0.810 0.696
0.861 0.544 0.747
0.316 0.854 0.974
0.130 0.635 0.360
0.674 0.508 0.248
0.895 0.360 0.636
0.991 0.214 0.306
0.790 0.969 0.693
0.869 0.355 0.920
0.496 0.837 0.074
0.844 0.830 0.584
0.516 0.884 0.360
0.692 0.541 0.528
0.150 0.667 0.477
0.649 0.549 0.645
0.019 0.203 0.913
0.193 0.009 0.586
0.356 0.871 0.858
0.457 0.302 0.027
0.146 0.460 0.965
0.192 0.212 0.413
0.632 0.154 0.425
0.506 0.682 0.253
0.135 0.483 0.575
0.858 0.322 0.245
0.519 0.827 0.756
0.463 0.099 0.635
0.345 0.678 0.815
0.011 0.006 0.851
0.347 0.673 0.516
0.981 0.002 0.144
0.331 0.671 0.017
0.648 0.309 0.986
0.679 0.352 0.482
0.347 0.684 0.319
0.992 0.005 0.652
0.968 0.634 0.083
0.008 0.304 0.251
0.340 0.380 0.417
0.968 0.335 0.582
0.363 0.029 0.581
0.008 0.713 0.750
0.038 0.375 0.915
0.296 0.995 0.251
0.628 0.666 0.916
0.322 0.987 0.079
0.387 0.383 0.238
0.619 0.623 0.740
0.984 0.980 0.498
0.679 0.352 0.333
0.350 0.656 0.159
0.955 0.296 0.414
0.359 0.644 0.667
0.689 0.033 0.916
0.015 0.011 0.004
0.331 0.014 0.418
0.335 0.286 0.919
0.648 0.686 0.091
0.727 0.692 0.415
0.995 0.345 0.752
0.388 0.022 0.758
0.015 0.698 0.574
0.977 0.637 0.256
0.652 0.316 0.831
0.668 0.956 0.583
0.637 0.988 0.240
0.706 0.996 0.754
0.289 0.297 0.753
0.694 0.695 0.251
0.044 0.662 0.419
0.663 0.023 0.082
0.329 0.962 0.917
0.669 0.643 0.584
0.354 0.332 0.082
0.630 0.976 0.419
0.992 0.990 0.352
0.659 0.332 0.174
0.655 0.335 0.683
```

## Properties
SG: No. 1

=====

Record 2
## Na3CaScSiS2O12 (GGA-PBE)

Data for a geometry-optimized Na3CaScSiS2O12 structure.

The structure in POSCAR format:
```
Na3CaScSiS2O12
1.0
-6.012 -1.085 6.963
9.113 -0.983 1.553
1.407 22.446 4.712
Na O Sc S Si Ca
18 72 6 12 6 6
Direct
0.016 0.990 0.998
0.660 0.305 0.832
0.372 0.005 0.753
0.339 0.029 0.406
0.974 0.990 0.498
0.645 0.305 0.332
0.694 0.685 0.424
0.006 0.641 0.240
0.323 0.663 0.165
0.340 0.663 0.665
0.991 0.685 0.924
0.029 0.352 0.086
0.634 0.641 0.740
0.324 0.352 0.586
0.656 0.946 0.577
0.690 0.029 0.906
0.632 0.005 0.253
0.291 0.946 0.077
0.651 0.145 0.748
0.448 0.303 0.032
0.506 0.813 0.753
0.111 0.640 0.362
0.636 0.155 0.423
0.168 0.981 0.914
0.307 0.813 0.253
0.847 0.531 0.026
0.813 0.981 0.414
0.519 0.155 0.923
0.510 0.876 0.361
+++
(Work order)
Find the line earlier on that holds "... monoclinic", then echo that line and all lines after it there.
(Completed)
Crystal system ... monoclinic
Symmetry ... P2_1/c (14)

=====

Record 1
## Na7CaSc3Si3S3O24 (GGA-PBE)

Data for a geometry-optimized Na7CaSc3Si3S3O24 structure.

The structure in POSCAR format:
```
Na7CaSc3Si3S3O24
1.0
9.263 0.019 0.013
-4.615 8.021 -0.029
0.034 -0.066 22.783
O Sc S Na Si Ca
72 9 9 21 9 3
Direct
0.693 0.166 0.752
0.161 0.472 0.252
0.853 0.496 0.422
0.300 0.834 0.254
0.492 0.364 0.423
0.318 0.463 0.469
0.025 0.211 0.200
0.161 0.699 0.756
0.169 0.994 0.914
0.686 0.145 0.026
0.853 0.541 0.034
0.341 0.857 0.576
0.819 0.007 0.419
0.181 0.151 0.089
0.858 0.311 0.531
0.167 0.196 0.697
0.825 0.993 0.083
0.544 0.688 0.968
0.986 0.799 0.801
0.465 0.384 0.142
0.335 0.494 0.068
0.504 0.150 0.920
0.194 0.981 0.198
0.523 0.640 0.863
0.298 0.481 0.757
0.200 0.183 0.811
0.508 0.672 0.577
0.645 0.515 0.922
0.534 0.851 0.474
0.476 0.322 0.752
0.469 0.137 0.246
0.906 0.547 0.139
0.798 0.774 0.311
0.363 0.479 0.363
0.118 0.467 0.860
0.224 0.020 0.305
0.449 0.131 0.529
0.793 0.818 0.194
0.983 0.803 0.086
0.034 0.834 0.421
0.629 0.090 0.144
0.978 0.179 0.585
0.792 0.820 0.912
0.139 0.661 0.074
0.818 0.008 0.811
0.029 0.810 0.696
0.861 0.544 0.747
0.316 0.854 0.974
0.130 0.635 0.360
0.674 0.508 0.248
0.895 0.360 0.636
0.991 0.214 0.306
0.790 0.969 0.693
0.869 0.355 0.920
0.496 0.837 0.074
0.844 0.830 0.584
0.516 0.884 0.360
0.692 0.541 0.528
0.150 0.667 0.477
0.649 0.549 0.645
0.019 0.203 0.913
0.193 0.009 0.586
0.356 0.871 0.858
0.457 0.302 0.027
0.146 0.460 0.965
0.192 0.212 0.413
0.632 0.154 0.425
0.506 0.682 0.253
0.135 0.483 0.575
0.858 0.322 0.245
0.519 0.827 0.756
0.463 0.099 0.635
0.345 0.678 0.815
0.011 0.006 0.851
0.347 0.673 0.516
0.981 0.002 0.144
0.331 0.671 0.017
0.648 0.309 0.986
0.679 0.352 0.482
0.347 0.684 0.319
0.992 0.005 0.652
0.968 0.634 0.083
0.008 0.304 0.251
0.340 0.380 0.417
0.968 0.335 0.582
0.363 0.029 0.581
0.008 0.713 0.750
0.038 0.375 0.915
0.296 0.995 0.251
0.628 0.666 0.916
0.322 0.987 0.079
0.387 0.383 0.238
0.619 0.623 0.740
0.984 0.980 0.498
0.679 0.352 0.333
0.350 0.656 0.159
0.955 0.296 0.414
0.359 0.644 0.667
0.689 0.033 0.916
0.015 0.011 0.004
0.331 0.014 0.418
0.335 0.286 0.919
0.648 0.686 0.091
0.727 0.692 0.415
0.995 0.345 0.752
0.388 0.022 0.758
0.015 0.698 0.574
0.977 0.637 0.256
0.652 0.316 0.831
0.668 0.956 0.583
0.637 0.988 0.240
0.706 0.996 0.754
0.289 0.297 0.753
0.694 0.695 0.251
0.044 0.662 0.419
0.663 0.023 0.082
0.329 0.962 0.917
0.669 0.643 0.584
0.354 0.332 0.082
0.630 0.976 0.419
0.992 0.990 0.352
0.659 0.332 0.174
0.655 0.335 0.683
```

## Properties
SG: No. 1

=====

Record 2
## Na3CaScSiS2O12 (GGA-PBE)

Data for a geometry-optimized Na3CaScSiS2O12 structure.

The structure in POSCAR format:
```
Na3CaScSiS2O12
1.0
-6.012 -1.085 6.963
9.113 -0.983 1.553
1.407 22.446 4.712
Na O Sc S Si Ca
18 72 6 12 6 6
Direct
0.016 0.990 0.998
0.660 0.305 0.832
0.372 0.005 0.753
0.339 0.029 0.406
0.974 0.990 0.498
0.645 0.305 0.332
0.694 0.685 0.424
0.006 0.641 0.240
0.323 0.663 0.165
0.340 0.663 0.665
0.991 0.685 0.924
0.029 0.352 0.086
0.634 0.641 0.740
0.324 0.352 0.586
0.656 0.946 0.577
0.690 0.029 0.906
0.632 0.005 0.253
0.291 0.946 0.077
0.651 0.145 0.748
0.448 0.303 0.032
0.506 0.813 0.753
0.111 0.640 0.362
0.636 0.155 0.423
0.168 0.981 0.914
0.307 0.813 0.253
0.847 0.531 0.026
0.813 0.981 0.414
0.519 0.155 0.923
0.510 0.876 0.361